-- Material --
Record 1
27
Properties=species:S:1:pos:R:3:forces:R:3 method="wB97M-V/def2-TZVPD" charge=-1 orbital_gap_ev=5.96 e_above_lowest_kcal_mol=1.8
K 2.403605 -0.130097 0.064117 0.542 -0.066 0.171
Cl -4.634308 1.570125 2.545927 -1.387 1.019 0.181
C -3.184425 1.533126 1.619437 0.328 -0.806 0.716
C -2.889923 2.318116 0.510206 -0.050 0.269 -1.253
C -1.712858 2.097191 -0.194662 -0.936 -0.150 0.902
C -0.772408 1.162850 0.346277 1.087 -0.401 0.706
O 0.447336 1.246436 0.045210 -0.654 -0.197 -0.619
C -1.238094 0.176907 1.361352 0.597 0.503 -1.086
C -0.582523 -1.089132 1.577198 1.100 -0.229 0.224
O 0.482054 -1.473709 1.078162 -0.850 0.055 0.089
C -2.396988 0.484140 2.039779 -0.430 0.130 -0.103
H -3.609755 3.066157 0.137199 0.364 -0.400 0.396
H -1.427956 2.666308 -1.077874 -0.040 0.003 0.346
H -1.080624 -1.814693 2.272252 -0.127 0.548 -0.209
H -2.768786 -0.050575 2.920682 0.422 -0.246 -0.507
S -0.981889 -2.063107 -3.975145 1.799 0.058 0.324
C 0.227092 -3.313913 -3.730901 -1.183 0.123 -0.037
C 1.325764 -2.759141 -3.192627 1.159 -0.992 0.196
N 1.373635 -1.416213 -3.033726 -1.229 1.000 -0.193
C 0.232976 -0.907519 -3.410914 -0.290 -0.799 -0.075
H 0.045201 -4.371135 -3.912977 -0.050 0.442 0.058
H 2.193835 -3.314752 -2.860087 -0.066 -0.156 -0.178
H 0.003386 0.137107 -3.389751 -0.084 0.380 0.104
Cl 4.725118 3.423283 2.500687 -0.108 0.456 0.454
Si 4.832062 1.301074 2.507330 -0.168 -0.947 -1.599
Cl 2.779739 0.675481 3.181268 0.324 0.267 0.364
Cl 6.208735 0.845684 4.071580 -0.068 0.135 0.628

=====

Record 2
22
Properties=species:S:1:pos:R:3:forces:R:3 method="wB97M-V/def2-TZVPD" multiplicity=3 s_squared=2.01 orbital_gap_ev="6.76 / 8.68"
C 1.535352 -1.060622 -1.233216 0.820 0.756 -0.183
C 1.365213 1.403451 -0.980862 0.815 -0.037 -0.826
C -0.476215 1.089538 1.633878 1.543 -2.145 6.019
C -0.976915 1.240155 0.401442 -2.950 -1.541 -8.715
C 1.343784 -0.138787 1.058829 1.038 0.705 -0.027
C -0.841282 -1.106930 0.698901 1.889 1.488 0.159
C -0.024085 -0.314114 1.748849 0.979 0.567 -3.112
C 1.016614 0.079907 -0.449108 -2.140 -0.382 -0.209
C -0.687673 -0.033663 -0.357937 1.250 1.685 -0.161
C -1.383268 -0.272005 -1.690451 -0.462 0.690 0.019
N 2.086230 -1.902411 -1.792945 -0.479 0.124 0.216
N 1.745526 2.372785 -1.480328 -0.469 -0.579 0.590
F -0.959435 0.536967 -2.700082 -0.216 -0.461 0.856
F -1.186231 -1.529613 -2.061721 0.004 -0.381 -0.397
F -2.735480 -0.094558 -1.574606 0.928 -0.005 -0.027
H -0.383598 1.797571 2.353887 0.425 1.821 1.987
H -1.364619 1.968151 -0.216862 -0.850 2.082 -0.275
H 1.913389 0.651428 1.560483 -0.376 0.513 -0.567
H 2.113278 -0.872229 1.034650 0.036 -1.704 0.588
H -0.357205 -1.986722 0.325570 -0.114 -0.914 0.387
H -1.821627 -1.165993 1.040761 -1.845 -0.721 0.200
H 0.078247 -0.662306 2.680867 0.174 -1.562 3.475

=====

Record 3
21
Properties=species:S:1:pos:R:3:forces:R:3 method="wB97M-V/def2-TZVPD" charge=+1 orbital_gap_ev=6.79 e_above_lowest_kcal_mol=92.7
C 0.515909 -2.014998 -1.517279 1.252 1.407 0.498
C 2.656465 0.729855 -1.549162 -1.492 -1.160 1.389
C 2.313596 2.214451 0.018729 -1.843 -4.768 -2.632
C 0.610683 -0.785698 -0.910624 -0.627 -0.394 -0.420
C 1.548256 0.317473 -0.824062 1.353 -0.389 -2.087
C -0.605930 -0.753601 -0.204747 0.078 -1.763 0.281
C -0.770578 0.287503 0.858886 -1.137 0.086 -0.998
C -2.064634 0.115384 1.065518 0.662 1.504 0.346
C 0.326982 1.141659 1.080388 -0.854 -0.615 -0.028
C -3.342326 -0.363049 1.392318 0.138 0.829 2.709
N -1.296567 -1.901098 -0.366162 -0.804 3.418 2.438
N 1.355488 1.256591 0.143803 0.315 1.215 0.782
O 3.128917 1.853933 -0.992363 -0.085 0.548 0.528
O -0.581735 -2.628431 -1.148441 1.035 -1.877 -2.223
H 1.226387 -2.513882 -2.102992 0.481 -0.875 -0.809
H 3.196128 0.169620 -2.291180 0.209 0.573 -0.277
H 2.519022 2.852467 0.757665 1.051 2.807 2.156
H 0.253190 1.847852 1.851788 0.202 0.925 0.624
H -3.326669 -1.378290 1.196142 0.133 -2.669 -0.810
H -4.261666 0.039034 1.017457 -0.107 0.751 -0.540
H -3.400918 -0.486776 2.524321 0.041 0.447 -0.925

=====

Record 4
19
-- Activity --
Duplicate the whole of the contents above character by character.
-- Written answer --
Record 1
27
Properties=species:S:1:pos:R:3:forces:R:3 method="wB97M-V/def2-TZVPD" charge=-1 orbital_gap_ev=5.96 e_above_lowest_kcal_mol=1.8
K 2.403605 -0.130097 0.064117 0.542 -0.066 0.171
Cl -4.634308 1.570125 2.545927 -1.387 1.019 0.181
C -3.184425 1.533126 1.619437 0.328 -0.806 0.716
C -2.889923 2.318116 0.510206 -0.050 0.269 -1.253
C -1.712858 2.097191 -0.194662 -0.936 -0.150 0.902
C -0.772408 1.162850 0.346277 1.087 -0.401 0.706
O 0.447336 1.246436 0.045210 -0.654 -0.197 -0.619
C -1.238094 0.176907 1.361352 0.597 0.503 -1.086
C -0.582523 -1.089132 1.577198 1.100 -0.229 0.224
O 0.482054 -1.473709 1.078162 -0.850 0.055 0.089
C -2.396988 0.484140 2.039779 -0.430 0.130 -0.103
H -3.609755 3.066157 0.137199 0.364 -0.400 0.396
H -1.427956 2.666308 -1.077874 -0.040 0.003 0.346
H -1.080624 -1.814693 2.272252 -0.127 0.548 -0.209
H -2.768786 -0.050575 2.920682 0.422 -0.246 -0.507
S -0.981889 -2.063107 -3.975145 1.799 0.058 0.324
C 0.227092 -3.313913 -3.730901 -1.183 0.123 -0.037
C 1.325764 -2.759141 -3.192627 1.159 -0.992 0.196
N 1.373635 -1.416213 -3.033726 -1.229 1.000 -0.193
C 0.232976 -0.907519 -3.410914 -0.290 -0.799 -0.075
H 0.045201 -4.371135 -3.912977 -0.050 0.442 0.058
H 2.193835 -3.314752 -2.860087 -0.066 -0.156 -0.178
H 0.003386 0.137107 -3.389751 -0.084 0.380 0.104
Cl 4.725118 3.423283 2.500687 -0.108 0.456 0.454
Si 4.832062 1.301074 2.507330 -0.168 -0.947 -1.599
Cl 2.779739 0.675481 3.181268 0.324 0.267 0.364
Cl 6.208735 0.845684 4.071580 -0.068 0.135 0.628

=====

Record 2
22
Properties=species:S:1:pos:R:3:forces:R:3 method="wB97M-V/def2-TZVPD" multiplicity=3 s_squared=2.01 orbital_gap_ev="6.76 / 8.68"
C 1.535352 -1.060622 -1.233216 0.820 0.756 -0.183
C 1.365213 1.403451 -0.980862 0.815 -0.037 -0.826
C -0.476215 1.089538 1.633878 1.543 -2.145 6.019
C -0.976915 1.240155 0.401442 -2.950 -1.541 -8.715
C 1.343784 -0.138787 1.058829 1.038 0.705 -0.027
C -0.841282 -1.106930 0.698901 1.889 1.488 0.159
C -0.024085 -0.314114 1.748849 0.979 0.567 -3.112
C 1.016614 0.079907 -0.449108 -2.140 -0.382 -0.209
C -0.687673 -0.033663 -0.357937 1.250 1.685 -0.161
C -1.383268 -0.272005 -1.690451 -0.462 0.690 0.019
N 2.086230 -1.902411 -1.792945 -0.479 0.124 0.216
N 1.745526 2.372785 -1.480328 -0.469 -0.579 0.590
F -0.959435 0.536967 -2.700082 -0.216 -0.461 0.856
F -1.186231 -1.529613 -2.061721 0.004 -0.381 -0.397
F -2.735480 -0.094558 -1.574606 0.928 -0.005 -0.027
H -0.383598 1.797571 2.353887 0.425 1.821 1.987
H -1.364619 1.968151 -0.216862 -0.850 2.082 -0.275
H 1.913389 0.651428 1.560483 -0.376 0.513 -0.567
H 2.113278 -0.872229 1.034650 0.036 -1.704 0.588
H -0.357205 -1.986722 0.325570 -0.114 -0.914 0.387
H -1.821627 -1.165993 1.040761 -1.845 -0.721 0.200
H 0.078247 -0.662306 2.680867 0.174 -1.562 3.475

=====

Record 3
21
Properties=species:S:1:pos:R:3:forces:R:3 method="wB97M-V/def2-TZVPD" charge=+1 orbital_gap_ev=6.79 e_above_lowest_kcal_mol=92.7
C 0.515909 -2.014998 -1.517279 1.252 1.407 0.498
C 2.656465 0.729855 -1.549162 -1.492 -1.160 1.389
C 2.313596 2.214451 0.018729 -1.843 -4.768 -2.632
C 0.610683 -0.785698 -0.910624 -0.627 -0.394 -0.420
C 1.548256 0.317473 -0.824062 1.353 -0.389 -2.087
C -0.605930 -0.753601 -0.204747 0.078 -1.763 0.281
C -0.770578 0.287503 0.858886 -1.137 0.086 -0.998
C -2.064634 0.115384 1.065518 0.662 1.504 0.346
C 0.326982 1.141659 1.080388 -0.854 -0.615 -0.028
C -3.342326 -0.363049 1.392318 0.138 0.829 2.709
N -1.296567 -1.901098 -0.366162 -0.804 3.418 2.438
N 1.355488 1.256591 0.143803 0.315 1.215 0.782
O 3.128917 1.853933 -0.992363 -0.085 0.548 0.528
O -0.581735 -2.628431 -1.148441 1.035 -1.877 -2.223
H 1.226387 -2.513882 -2.102992 0.481 -0.875 -0.809
H 3.196128 0.169620 -2.291180 0.209 0.573 -0.277
H 2.519022 2.852467 0.757665 1.051 2.807 2.156
H 0.253190 1.847852 1.851788 0.202 0.925 0.624
H -3.326669 -1.378290 1.196142 0.133 -2.669 -0.810
H -4.261666 0.039034 1.017457 -0.107 0.751 -0.540
H -3.400918 -0.486776 2.524321 0.041 0.447 -0.925

=====

Record 4
19